Lea laughs, too, slowing down to merge into traffic. “Can you imagine her on the roof?” She cracks up again, and so do I. The image of Rachel Foley in her little black Versace dress, golden hair flying wildly as she screams and ruins her manicure trying to cling to the roof of Lea’s sedan is too much.
I brush the tears out of my eyes and realize, as Lea’s laughter fades, that I’m crying. It only gets worse, great big gasping sobs, because now that I’m safe, I have to face the fact that Gabe is out of my life.
The city is a blur as Lea drives. She doesn’t ask me where I want to go and she doesn’t give me empty words of sympathy. Not that I’d hear them over the pathetic noises I’m making. At a red light, she hands me a box of tissues, and later, when I’ve settled into hiccups and silent tears, she hands me a mini bottle of vodka from her handbag.
“I emptied the hotel minibar.” She gives me a small smile. “And since your mother is a regular guest, I had the room charged to her.”
“Thank you,” I say with a sniffle, twisting the cap.
Lea takes me to the one corner of the world where no one would ever find me—Wendy’s beach house. The house was a gift from her father to her Brazilian mother before Wendy was born, and Wendy’s been living here while working on screenplays and novels. The tiny seaside town is a safe place I can visit her without worrying about us getting photographed together.
Wendy greets us at the door, pulling me into a hug, and I cling to her. There’s still too much roiling inside me, and I can’t keep it in any longer. “Beach,” I say. Wendy knows what I need. She and Lea walk me down to the cool sand, standing a little back to give me some space. We’re alone, and in the dark, I scream my hurt to the waves until my voice fails.
Heartbreak was my friend. I knew how to make armor out of my pain. I did it for all those years with Nic.
This…it’s naked. Raw.
I hadn’t known heartbreak at all.
I wish Gabriel Sinclair had never set foot in that room at the reception.
Before he came into my life, I would’ve had my tantrum, brushed myself off, and gone back to work with the end goal—happy ever after with the man I loved—in mind. This time, there’s no way forward and I’m so angry because I can’t go back to who I used to be. He’s left me vulnerable and I’m going to have to learn to live like this in the bad times now that the good times are gone.
I hate him.
I wouldn’t take Gabe back if he came crawling on his knees. Over broken glass. With sunburned legs.
I love him.
Inserted here: materials data:
-- begin --
# Ti7B8Ir2Rh4
Computed X-ray diffraction stick pattern, CuKα. Input: the PBE geometry in the Materials Project.
Intensities are scaled so that the largest is 100.

Atomic structure:
Cell: 9.265 3.199 9.269 Å, 90.00 119.93 90.00°
Space group Pm (No. 6)
Asymmetric unit:
Ti 0.000 0.000 0.000 [1 per cell]
Ti 0.085 0.000 0.362 [1 per cell]
Ti 0.274 0.000 0.914 [1 per cell]
Ti 0.360 0.000 0.275 [1 per cell]
Ti 0.446 0.000 0.636 [1 per cell]
Ti 0.636 0.000 0.190 [1 per cell]
Ti 0.722 0.000 0.551 [1 per cell]
B 0.027 0.000 0.609 [1 per cell]
B 0.143 0.500 0.211 [1 per cell]
B 0.207 0.500 0.058 [1 per cell]
B 0.297 0.500 0.428 [1 per cell]
B 0.424 0.500 0.122 [1 per cell]
B 0.513 0.500 0.492 [1 per cell]
B 0.577 0.500 0.339 [1 per cell]
B 0.694 0.000 0.942 [1 per cell]
Ir 0.515 0.500 0.922 [1 per cell]
Ir 0.853 0.500 0.120 [1 per cell]
Rh 0.006 0.500 0.766 [1 per cell]
Rh 0.205 0.500 0.629 [1 per cell]
Rh 0.714 0.500 0.783 [1 per cell]
Rh 0.870 0.500 0.431 [1 per cell]

The 6 most intense peaks (5 to 70 degrees two-theta), by angle:
2θ 11.0, I = 100, (1 0 -1); 2θ 29.4, I = 36, (2 0 1); 2θ 30.1, I = 39, (1 1 -1); 2θ 40.5, I = 74, (1 0 3); 2θ 41.0, I = 99, (2 1 -3); 2θ 44.1, I = 32, (3 1 0)

=====

# CsRbMg14
Computed X-ray diffraction stick pattern, CuKα. Input: the PBE geometry in the Materials Project.
Intensities are scaled so that the largest is 100.

Atomic structure:
Cell: 11.293 6.697 11.703 Å, 90.00 90.00 90.00°
Space group Amm2 (No. 38)
Asymmetric unit:
Cs 0.000 0.000 0.000 [2 per cell]
Rb 0.000 0.000 0.503 [2 per cell]
Mg 0.000 0.247 0.252 [4 per cell]
Mg 0.254 0.000 0.745 [4 per cell]
Mg 0.255 0.000 0.247 [4 per cell]
Mg 0.298 0.247 0.495 [8 per cell]
Mg 0.500 0.000 0.093 [2 per cell]
Mg 0.500 0.000 0.593 [2 per cell]
Mg 0.500 0.250 0.321 [4 per cell]

The 6 most intense peaks (5 to 70 degrees two-theta), by angle:
2θ 7.8, I = 46, (1 0 0); 2θ 17.1, I = 28, (1 0 2); 2θ 30.6, I = 25, (0 0 4); 2θ 31.7, I = 65, (4 0 0); 2θ 34.7, I = 100, (2 2 2); 2θ 39.0, I = 23, (3 0 4)

=====

# SrPO4
Computed X-ray diffraction stick pattern, CuKα. Input: the PBE geometry in the Materials Project.
Intensities are scaled so that the largest is 100.

Atomic structure:
Cell: 6.885 7.280 7.309 Å, 78.70 83.25 89.59°
Space group P-1 (No. 2)
Asymmetric unit:
Sr 0.053 0.195 0.245 [2 per cell]
Sr 0.358 0.684 0.311 [2 per cell]
P 0.123 0.296 0.710 [2 per cell]
P 0.450 0.795 0.783 [2 per cell]
O 0.006 0.161 0.622 [2 per cell]
O 0.015 0.543 0.248 [2 per cell]
O 0.183 0.196 0.903 [2 per cell]
O 0.305 0.375 0.575 [2 per cell]
O 0.315 0.808 0.964 [2 per cell]
O 0.316 0.791 0.628 [2 per cell]
O 0.402 0.040 0.274 [2 per cell]
O 0.427 0.385 0.177 [2 per cell]

The 6 most intense peaks (5 to 70 degrees two-theta), by angle:
2θ 25.0, I = 100, (0 0 2); 2θ 25.6, I = 29, (0 2 1); 2θ 28.8, I = 38, (2 -1 0); 2θ 29.2, I = 21, (2 1 0); 2θ 30.1, I = 26, (0 2 -1); 2θ 31.8, I = 20, (0 2 2)

=====

# K3Ag2P5O20
-- stop --
So much for the materials data:
He’s in my blood and under my skin. More a part of me than I am, if this ache is any indication.
He didn’t believe me. All the time we spent together, all the secrets we shared, and he still had to ask if I’d planted that paparazzo to catch him. It hurts more than him choosing his reputation over me. He could love me and still choose to sacrifice us for his goals, and it would hurt. But thinking I’m still the woman I was the day we met means he doesn’t love me. He never did and he never will because he’ll never see me and that’s what’s gnashing at my heart.
“Come on,” Wendy whispers, her arm going around my shoulders, and I realize I’m on my knees in the wet sand. The frothy edges of a cold wave kiss along my legs and I let Wendy pull me to my feet.
Back in her house, wrapped in a blanket with a glass of wine in hand, I’m empty enough that I can finally talk, so when Wendy tells me to spill, I do.
I trust Wendy. I know her secrets, she knows mine, and if mutually assured destruction isn’t a strong foundation for a friendship, I don’t know what is. And Lea—she signed an NDA before she started working for me, but I trust her anyway.
The entry is interrupted by calculated crystals:
Record 1
For Cs2Se, a GGA-PBE-relaxed structure gives the computed X-ray diffraction stick pattern in this record (Cu Kα (λ = 1.5418 Å)).
Peak positions follow from Bragg's law for the DFT cell and can differ from measured ones.

Largest 10 diffraction maxima, low angle first, 2θ = 15–90°:
2θ (°), d_spacing, I_rel
18.5, 4.784, 36
22.3, 3.994, 99
24.2, 3.683, 77
28.3, 3.152, 78
30.3, 2.947, 100
31.1, 2.872, 36
33.4, 2.682, 52
35.0, 2.562, 33
35.6, 2.518, 26
50.9, 1.795, 29

Cell and atoms:
a = 10.6308 Å, b = 5.9747 Å, c = 11.5442 Å
α = 66.07°, β = 30.91°, γ = 83.02°
Positions (direct):
Cs (0.2404, 0.7596, 0.3875)
Cs (0.6375, 0.8625, 0.4904)
Cs (0.7596, 0.2404, 0.6125)
Cs (0.8625, 0.6375, 0.0096)
Se (0.2674, 0.2674, 0.7326)
Se (0.5174, 0.5174, 0.9826)

Record 2
For Pu2Al5Zn3, a GGA-PBE-relaxed structure gives the computed X-ray diffraction stick pattern in this record (Cu Kα (λ = 1.5418 Å)).
Peak positions follow from Bragg's law for the DFT cell and can differ from measured ones.

Largest 10 diffraction maxima, low angle first, 2θ = 15–90°:
2θ (°), d_spacing, I_rel
16.2, 5.485, 41
22.8, 3.907, 67
30.2, 2.956, 44
32.5, 2.752, 92
34.5, 2.602, 100
43.3, 2.090, 43
46.8, 1.943, 42
55.2, 1.664, 54
65.6, 1.423, 31
73.7, 1.285, 22

Cell and atoms:
a = 4.1807 Å, b = 4.1807 Å, c = 10.9699 Å
α = 90.00°, β = 90.00°, γ = 90.00°
Positions (direct):
Pu (0.0000, 0.5000, 0.2471)
Pu (0.5000, 0.0000, 0.7529)
Al (0.0000, 0.0000, 0.0000)
Al (0.0000, 0.0000, 0.5000)
Al (0.0000, 0.5000, 0.8521)
Al (0.5000, 0.0000, 0.1479)
Al (0.5000, 0.5000, 0.0000)
Zn (0.0000, 0.5000, 0.6315)
Zn (0.5000, 0.0000, 0.3685)
Zn (0.5000, 0.5000, 0.5000)

Record 3
For HgAu2Cl8, a GGA-PBE-relaxed structure gives the computed X-ray diffraction stick pattern in this record (Cu Kα (λ = 1.5418 Å)).
Peak positions follow from Bragg's law for the DFT cell and can differ from measured ones.

Largest 10 diffraction maxima, low angle first, 2θ = 15–90°:
2θ (°), d_spacing, I_rel
19.2, 4.618, 100
22.3, 3.986, 39
23.1, 3.853, 72
23.8, 3.735, 17
25.1, 3.552, 17
26.9, 3.315, 26
32.3, 2.768, 23
36.0, 2.494, 26
42.6, 2.121, 28
54.1, 1.695, 19

Cell and atoms:
a = 7.8894 Å, b = 7.8894 Å, c = 7.9462 Å
α = 107.11°, β = 107.11°, γ = 60.69°
Positions (direct):
Hg (0.0000, 0.0000, 0.0000)
Au (0.2413, 0.2413, 0.7204)
Au (0.7587, 0.7587, 0.2796)
Cl (0.0710, 0.6944, 0.2739)
Cl (0.1585, 0.1585, 0.2303)
Cl (0.3056, 0.9290, 0.7261)
Cl (0.4055, 0.4055, 0.7157)
Cl (0.5945, 0.5945, 0.2843)
Cl (0.6944, 0.0710, 0.2739)
Cl (0.8415, 0.8415, 0.7697)
Cl (0.9290, 0.3056, 0.7261)
So much for the calculated crystals:
So I tell them how I fell in love with the worst possible man for me. How our fake relationship turned real turned into a secret. How he doesn’t see that I’ve changed.
“To dickheads,” Wendy says when I run out of words, raising her wineglass.
I raise mine, and Lea raises hers.
In the morning, I walk to the beach and hurl driftwood, pebbles, and shells back into the ocean. I imagine each one is a piece of my pain, but it’s not that easy. The tide brings the feeling back and my arms get sore, so I do the next logical thing and glare at the water.
How dare that man make me love him?
Gabriel Sinclair is a jerk.
I write it in the sand, kicking out the letters. The rising tide eats it not long after I’m finished, and I do it again. It’s cathartic to write insulting messages to Gabe, letting the ocean carry them away.
The man I love doesn’t love me. Again.
Why does this keep happening to me? I tried to be better. I tried so fucking hard, and for what? Gabe, the one person I thought could see inside, only sees rot in me. I don’t deserve this. I deserve…
I have no idea what I deserve or what I’ve earned. Maybe I haven’t done enough. Maybe nothing is ever going to be enough.